# Input
=====
P) {
  "formula": "LiCuPO4",
  "functional": "PBE",
  "state": "relaxed",
  "spacegroup": "No. 33",
  "lattice": [[-9.918, -9.130, -12.840], [-1.173, -4.040, 3.779], [-6.951, 4.229, 2.362]],
  "species": ["Cu", "P", "O", "O", "O", "O", "O", "Li", "O", "O", "Li", "Li", "O", "P", "P", "O", "P", "Cu", "O", "O", "O", "P", "O", "O", "Cu", "O", "O", "Li", "P", "Li", "O", "O", "Li", "P", "O", "P", "O", "O", "O", "Cu", "O", "Cu", "Cu", "O", "Cu", "O", "O", "Li", "Li", "O", "Cu", "O", "O", "O", "P", "O", "Li", "O", "O", "O", "O", "O", "O", "Li", "O", "O", "P", "Cu", "O", "O", "O", "Cu", "O", "O", "O", "P", "P", "O", "Cu", "Li", "O", "O", "Li", "Cu"],
  "frac_coords": [[0.569, 0.325, 0.473], [0.592, 0.760, 0.602], [0.088, 0.950, 0.771], [0.206, 0.662, 0.470], [0.032, 0.788, 0.026], [0.917, 0.008, 0.179], [0.438, 0.839, 0.756], [0.655, 0.214, 0.740], [0.500, 0.156, 0.001], [0.794, 0.162, 0.530], [0.679, 0.817, 0.272], [0.155, 0.214, 0.760], [0.669, 0.266, 0.499], [0.069, 0.174, 0.399], [0.569, 0.174, 0.101], [0.938, 0.839, 0.744], [0.760, 0.771, 0.907], [0.897, 0.160, 0.488], [0.373, 0.793, 0.012], [0.763, 0.524, 0.357], [0.706, 0.662, 0.030], [0.092, 0.760, 0.898], [0.737, 0.024, 0.857], [0.127, 0.293, 0.512], [0.069, 0.325, 0.027], [0.583, 0.508, 0.679], [0.627, 0.293, 0.988], [0.500, 0.673, 0.239], [0.240, 0.271, 0.093], [0.500, 0.173, 0.761], [0.596, 0.925, 0.150], [0.404, 0.425, 0.850], [0.000, 0.673, 0.261], [0.431, 0.674, 0.899], [0.873, 0.793, 0.488], [0.908, 0.260, 0.102], [0.831, 0.766, 0.999], [0.000, 0.156, 0.499], [0.337, 0.277, 0.495], [0.397, 0.160, 0.012], [0.500, 0.656, 0.999], [0.767, 0.759, 0.539], [0.103, 0.660, 0.512], [0.412, 0.450, 0.271], [0.431, 0.825, 0.527], [0.331, 0.766, 0.501], [0.837, 0.277, 0.005], [0.321, 0.317, 0.728], [0.179, 0.817, 0.228], [0.262, 0.611, 0.740], [0.267, 0.759, 0.961], [0.417, 0.008, 0.321], [0.237, 0.024, 0.643], [0.562, 0.339, 0.244], [0.740, 0.271, 0.407], [0.904, 0.425, 0.650], [0.000, 0.173, 0.739], [0.000, 0.656, 0.501], [0.532, 0.788, 0.474], [0.468, 0.288, 0.526], [0.062, 0.339, 0.256], [0.663, 0.777, 0.505], [0.238, 0.111, 0.240], [0.345, 0.714, 0.260], [0.083, 0.508, 0.821], [0.163, 0.777, 0.995], [0.931, 0.674, 0.601], [0.603, 0.660, 0.988], [0.762, 0.611, 0.760], [0.169, 0.266, 0.001], [0.096, 0.925, 0.350], [0.931, 0.825, 0.973], [0.912, 0.450, 0.229], [0.968, 0.288, 0.974], [0.738, 0.111, 0.260], [0.260, 0.771, 0.593], [0.408, 0.260, 0.398], [0.263, 0.524, 0.143], [0.233, 0.259, 0.461], [0.821, 0.317, 0.772], [0.294, 0.162, 0.970], [0.588, 0.950, 0.729], [0.845, 0.714, 0.240], [0.733, 0.259, 0.039]]
}

***

Q) {
  "formula": "LiCuPO4",
  "functional": "PBE",
  "state": "relaxed",
  "spacegroup": "No. 33",
  "lattice": [[5.197, 0.000, 0.000], [0.000, 6.230, 0.000], [0.000, 0.000, 10.833]],
  "species": ["Cu", "O", "Cu", "O", "Li", "O", "Li", "Li", "P", "O", "P", "O", "Cu", "O", "O", "O", "O", "O", "O", "O", "O", "O", "O", "Cu", "Li", "O", "P", "P"],
  "frac_coords": [[0.244, 0.271, 0.413], [0.690, 0.705, 0.412], [0.244, 0.229, 0.913], [0.545, 0.982, 0.181], [0.751, 0.490, 0.833], [0.045, 0.482, 0.319], [0.751, 0.010, 0.333], [0.251, 0.510, 0.167], [0.250, 0.006, 0.170], [0.045, 0.018, 0.819], [0.250, 0.494, 0.670], [0.636, 0.954, 0.699], [0.744, 0.729, 0.587], [0.136, 0.046, 0.301], [0.636, 0.546, 0.199], [0.190, 0.295, 0.588], [0.131, 0.702, 0.616], [0.190, 0.205, 0.088], [0.631, 0.298, 0.384], [0.690, 0.795, 0.912], [0.136, 0.454, 0.801], [0.545, 0.518, 0.681], [0.131, 0.798, 0.116], [0.744, 0.771, 0.087], [0.251, 0.990, 0.667], [0.631, 0.202, 0.884], [0.750, 0.506, 0.330], [0.750, 0.994, 0.830]]
}

***

The data favor Q); the next most stable structure lies 10 meV per atom above it.

***

P) {
  "formula": "LiCuPO4",
  "functional": "PBE",
  "state": "relaxed",
  "spacegroup": "No. 14",
  "lattice": [[9.714, 0.000, 0.000], [0.000, 5.018, 0.000], [0.000, 5.022, 6.906]],
=====
# Exercise
Type out the material further above from the first line to the one with "The data" without altering anything.
# Response
P) {
  "formula": "LiCuPO4",
  "functional": "PBE",
  "state": "relaxed",
  "spacegroup": "No. 33",
  "lattice": [[-9.918, -9.130, -12.840], [-1.173, -4.040, 3.779], [-6.951, 4.229, 2.362]],
  "species": ["Cu", "P", "O", "O", "O", "O", "O", "Li", "O", "O", "Li", "Li", "O", "P", "P", "O", "P", "Cu", "O", "O", "O", "P", "O", "O", "Cu", "O", "O", "Li", "P", "Li", "O", "O", "Li", "P", "O", "P", "O", "O", "O", "Cu", "O", "Cu", "Cu", "O", "Cu", "O", "O", "Li", "Li", "O", "Cu", "O", "O", "O", "P", "O", "Li", "O", "O", "O", "O", "O", "O", "Li", "O", "O", "P", "Cu", "O", "O", "O", "Cu", "O", "O", "O", "P", "P", "O", "Cu", "Li", "O", "O", "Li", "Cu"],
  "frac_coords": [[0.569, 0.325, 0.473], [0.592, 0.760, 0.602], [0.088, 0.950, 0.771], [0.206, 0.662, 0.470], [0.032, 0.788, 0.026], [0.917, 0.008, 0.179], [0.438, 0.839, 0.756], [0.655, 0.214, 0.740], [0.500, 0.156, 0.001], [0.794, 0.162, 0.530], [0.679, 0.817, 0.272], [0.155, 0.214, 0.760], [0.669, 0.266, 0.499], [0.069, 0.174, 0.399], [0.569, 0.174, 0.101], [0.938, 0.839, 0.744], [0.760, 0.771, 0.907], [0.897, 0.160, 0.488], [0.373, 0.793, 0.012], [0.763, 0.524, 0.357], [0.706, 0.662, 0.030], [0.092, 0.760, 0.898], [0.737, 0.024, 0.857], [0.127, 0.293, 0.512], [0.069, 0.325, 0.027], [0.583, 0.508, 0.679], [0.627, 0.293, 0.988], [0.500, 0.673, 0.239], [0.240, 0.271, 0.093], [0.500, 0.173, 0.761], [0.596, 0.925, 0.150], [0.404, 0.425, 0.850], [0.000, 0.673, 0.261], [0.431, 0.674, 0.899], [0.873, 0.793, 0.488], [0.908, 0.260, 0.102], [0.831, 0.766, 0.999], [0.000, 0.156, 0.499], [0.337, 0.277, 0.495], [0.397, 0.160, 0.012], [0.500, 0.656, 0.999], [0.767, 0.759, 0.539], [0.103, 0.660, 0.512], [0.412, 0.450, 0.271], [0.431, 0.825, 0.527], [0.331, 0.766, 0.501], [0.837, 0.277, 0.005], [0.321, 0.317, 0.728], [0.179, 0.817, 0.228], [0.262, 0.611, 0.740], [0.267, 0.759, 0.961], [0.417, 0.008, 0.321], [0.237, 0.024, 0.643], [0.562, 0.339, 0.244], [0.740, 0.271, 0.407], [0.904, 0.425, 0.650], [0.000, 0.173, 0.739], [0.000, 0.656, 0.501], [0.532, 0.788, 0.474], [0.468, 0.288, 0.526], [0.062, 0.339, 0.256], [0.663, 0.777, 0.505], [0.238, 0.111, 0.240], [0.345, 0.714, 0.260], [0.083, 0.508, 0.821], [0.163, 0.777, 0.995], [0.931, 0.674, 0.601], [0.603, 0.660, 0.988], [0.762, 0.611, 0.760], [0.169, 0.266, 0.001], [0.096, 0.925, 0.350], [0.931, 0.825, 0.973], [0.912, 0.450, 0.229], [0.968, 0.288, 0.974], [0.738, 0.111, 0.260], [0.260, 0.771, 0.593], [0.408, 0.260, 0.398], [0.263, 0.524, 0.143], [0.233, 0.259, 0.461], [0.821, 0.317, 0.772], [0.294, 0.162, 0.970], [0.588, 0.950, 0.729], [0.845, 0.714, 0.240], [0.733, 0.259, 0.039]]
}

***

Q) {
  "formula": "LiCuPO4",
  "functional": "PBE",
  "state": "relaxed",
  "spacegroup": "No. 33",
  "lattice": [[5.197, 0.000, 0.000], [0.000, 6.230, 0.000], [0.000, 0.000, 10.833]],
  "species": ["Cu", "O", "Cu", "O", "Li", "O", "Li", "Li", "P", "O", "P", "O", "Cu", "O", "O", "O", "O", "O", "O", "O", "O", "O", "O", "Cu", "Li", "O", "P", "P"],
  "frac_coords": [[0.244, 0.271, 0.413], [0.690, 0.705, 0.412], [0.244, 0.229, 0.913], [0.545, 0.982, 0.181], [0.751, 0.490, 0.833], [0.045, 0.482, 0.319], [0.751, 0.010, 0.333], [0.251, 0.510, 0.167], [0.250, 0.006, 0.170], [0.045, 0.018, 0.819], [0.250, 0.494, 0.670], [0.636, 0.954, 0.699], [0.744, 0.729, 0.587], [0.136, 0.046, 0.301], [0.636, 0.546, 0.199], [0.190, 0.295, 0.588], [0.131, 0.702, 0.616], [0.190, 0.205, 0.088], [0.631, 0.298, 0.384], [0.690, 0.795, 0.912], [0.136, 0.454, 0.801], [0.545, 0.518, 0.681], [0.131, 0.798, 0.116], [0.744, 0.771, 0.087], [0.251, 0.990, 0.667], [0.631, 0.202, 0.884], [0.750, 0.506, 0.330], [0.750, 0.994, 0.830]]
}

***

The data favor Q); the next most stable structure lies 10 meV per atom above it.